**Request:**
Could you return every line further below that contains the word "Pt"?

**Input:**
Record 1
A molecular structure, C53H45N2O2PtS5. Source: the OMol25 dataset; level of theory: wB97M-V/def2-TZVPD.

Last column: Löwdin charge in e.
Geometry (Å):
1 Pt -1.26360 0.65978 0.60750  1.09
2 C 5.74850 1.47799 -0.05022  -0.04
3 C 4.73716 1.43767 1.10369  -0.55
4 C 5.40366 1.96158 2.38439  -0.03
5 C 4.32543 -0.01316 1.35145  -0.05
6 C 3.54243 2.32590 0.76193  -0.16
7 C 3.77359 3.68443 0.47678  -0.02
8 C 2.74137 4.55302 0.20032  -0.06
9 C 1.44290 4.05705 0.21003  -0.45
10 S -0.03001 4.91557 -0.10338  1.16
11 C -0.90433 3.46060 0.15567  -0.54
12 N -0.18084 2.41085 0.47413  -0.09
13 C 1.18050 2.71595 0.48665  -0.26
14 C 2.24305 1.84918 0.75131  0.04
15 C -2.31875 3.27218 -0.01682  -0.26
16 C -3.20104 4.32618 -0.25867  -0.05
17 C -4.54382 4.06093 -0.41516  -0.08
18 C -4.97622 2.74138 -0.31973  -0.05
19 C -4.08974 1.70236 -0.08072  -0.12
20 C -2.72195 1.92149 0.07575  -0.23
21 H 6.54694 0.75332 0.12048  0.09
22 H 6.21094 2.45976 -0.15050  0.08
23 H 5.26343 1.24412 -0.99990  0.07
24 H 6.28643 1.36431 2.62111  0.09
25 H 4.71398 1.90461 3.22842  0.09
26 H 5.71974 2.99920 2.27784  0.08
27 H 5.20895 -0.61434 1.57043  0.10
28 H 3.83603 -0.45143 0.47756  0.07
29 H 3.64614 -0.10033 2.20225  0.06
30 H 4.78493 4.06806 0.48187  0.11
31 H 2.93556 5.59637 -0.01025  0.12
32 H 2.02475 0.81606 0.97402  0.08
33 H -2.83265 5.34492 -0.31207  0.10
34 H -5.24738 4.86120 -0.59886  0.11
35 H -6.02988 2.51475 -0.43027  0.11
36 H -4.49102 0.71013 0.00040  0.05
37 S 1.77158 -1.65900 3.58449  1.16
38 C 1.13518 -0.19292 4.20557  -0.45
39 C 1.30209 0.34258 5.48236  -0.07
40 C 0.66021 1.52529 5.77066  -0.07
41 C -0.14432 2.15458 4.81068  -0.05
42 C -0.30711 1.62345 3.55116  -0.03
43 C 0.35541 0.43179 3.23324  -0.29
44 N 0.30676 -0.24709 2.01129  0.00
45 C 0.96807 -1.36531 2.06311  -0.47
46 C 1.17452 -2.39347 1.01497  -0.14
47 C 1.50402 -3.67762 1.47151  -0.07
48 C 1.78543 -4.74006 0.63319  -0.05
49 C 1.69286 -4.57400 -0.73425  -0.04
50 C 1.35012 -3.32903 -1.22923  0.00
51 C 1.13208 -2.25897 -0.37592  -0.16
52 H 1.91009 -0.16033 6.22197  0.11
53 H 0.76668 1.96598 6.75267  0.11
54 H -0.65749 3.07140 5.06800  0.11
55 H -0.95645 2.09456 2.82850  0.08
56 H 1.51389 -3.86148 2.53644  0.08
57 H 2.04055 -5.70049 1.05920  0.12
58 H 1.86071 -5.39801 -1.41386  0.12
59 H 1.20083 -3.18764 -2.29324  0.14
60 O -1.98779 -1.22112 0.55860  -0.39
61 C -3.25468 -1.82501 0.65276  -0.59
62 C -3.76981 -2.23694 -0.73271  -0.45
63 C -4.31485 -3.43398 -1.09489  -0.13
64 C -4.64221 -3.51680 -2.47726  -0.17
65 C -4.32368 -2.38087 -3.14851  -0.41
66 S -3.63425 -1.20824 -2.11002  1.07
67 C -3.11467 -3.11579 1.45203  -0.47
68 C -3.87572 -3.58510 2.48093  -0.11
69 C -3.45431 -4.86184 2.94811  -0.17
70 C -2.38389 -5.33637 2.25767  -0.40
71 S -1.88926 -4.23904 1.04081  1.08
72 C -4.25576 -0.96228 1.39165  -0.52
73 C -5.60713 -0.90822 1.22960  -0.13
74 C -6.24321 -0.05614 2.17546  -0.17
75 C -5.35581 0.50000 3.04390  -0.39
76 S -3.75173 -0.00124 2.72201  1.06
77 H -4.49076 -4.23321 -0.38924  0.11
78 H -5.09040 -4.38306 -2.94169  0.10
79 H -4.46558 -2.16469 -4.19536  0.06
80 H -4.71245 -3.03884 2.89147  0.12
81 H -3.93056 -5.39619 3.75714  0.10
82 H -1.86448 -6.27090 2.39887  0.06
83 H -6.12373 -1.45110 0.44971  0.13
84 H -7.30628 0.13349 2.20359  0.10
85 H -5.55810 1.19059 3.84670  0.07
86 C 1.37519 1.22174 -7.18573  -0.02
87 C 1.49526 0.79205 -5.75967  -0.20
88 C 2.71634 0.33176 -5.25503  0.02
89 C 2.84691 -0.08757 -3.95404  -0.16
90 C 4.18850 -0.57974 -3.48564  -0.02
91 C 1.68076 -0.06423 -3.11026  -0.07
92 C 1.81846 -0.75482 -1.91365  0.00
93 O 0.88954 -1.03218 -1.04239  0.06
94 C 0.44794 0.48917 -3.59512  -0.14
95 C -0.71226 0.70799 -2.69975  -0.04
96 C 0.38895 0.87886 -4.91380  0.02
97 H 2.28557 1.02742 -7.74746  0.09
98 H 1.15733 2.29063 -7.23481  0.10
99 H 0.54368 0.70500 -7.66700  0.10
100 H 3.57703 0.30204 -5.91080  0.13
101 H 4.92172 -0.45063 -4.27774  0.09
102 H 4.17249 -1.64126 -3.22934  0.10
103 H 4.53862 -0.02912 -2.61295  0.07
104 H 2.79647 -1.15970 -1.67304  0.13

**Result:**
1 Pt -1.26360 0.65978 0.60750  1.09